Last year, in the midst of deciding what future funding of neighborhood associations would look like, the City Council commissioned an equity analysis of how these groups function. The report concludes that various funding schemes overseen by the city for the last 30 years reveal “a system of institutional racism.” And, “it’s reasonable to conclude that equity has not been realized or advanced in neighborhood organization work to date.”
The report was presented to the City Council last week by C. Terrence Anderson of the University’s Center for Urban and Regional Affairs (CURA). Council Member Lisa Goodman had the most colorful reaction, repeatedly telling Anderson that the results make “neighborhood folks” in her ward feel like they “suck.”
The CURA report finds that from 2013-2019, “white residents received 77% of the grants in a city where they make up 64% of the population.” Whites also had an approval rate 10% higher than their application rate. CURA’s conclusions are backed up by earlier research. One study (1993-2000) showed that 88% of NRP loan and grant recipients were white; another looked at 16 neighborhoods and found that recipients had incomes greater than the neighborhood median — “at times double and triple.”
CURA’s conclusions are also backed up by my own. My introduction to Minneapolis politics was attending neighborhood meetings, and briefly serving on the board of my neighborhood association. I spent a lot of time grappling with questions like:
- Why does an organization representing an 80% renter neighborhood specialize in giving millions of dollars to well-off homeowners?
- Why do neighborhoods with large renter or student populations have rules (length of residency requirements) that prevent renters and students from serving as board members?
- Does it reflect poorly on me that I willingly attend these terrible meetings?
Verdict of “Systemic Racism” Leads to Hurt Feelings
Goodman told Anderson that the report tells “the people who have worked for free in neighborhoods for however many years, ‘you guys suck, you didn’t do a good job.'”
Anderson clarified, “Can I just say very clearly I’ve never said that neighborhood associations suck… I’m not OK with that characterization.”
Goodman: “They feel that.”
/*
(w)
Al2N2Cl: relaxed, PBE.

Unit cell a=4.4194 b=4.4194 c=4.4194 alpha=125.60 beta=125.60 gamma=80.55
Positions (direct):
Al1 0.2500 0.7500 0.5000
Al2 0.7500 0.2500 0.5000
N1 0.1107 0.1107 0.0000
N2 0.8893 0.8893 0.0000
Cl1 0.5000 0.5000 0.0000

**Symmetry**: No. 139
**Spin magnetization**: 0.0 Bohr magnetons per cell
**ρ**: 3.5 g/cm3

(x)
Al2N2Cl: relaxed, PBE.

Unit cell a=6.4353 b=6.4353 c=2.7205 alpha=90.00 beta=90.00 gamma=90.00
Positions (direct):
Al1 0.1427 0.3573 0.0000
Al2 0.3573 0.8573 0.0000
Al3 0.6427 0.1427 0.0000
Al4 0.8573 0.6427 0.0000
N1 0.1329 0.6329 0.5000
N2 0.3671 0.1329 0.5000
N3 0.6329 0.8671 0.5000
N4 0.8671 0.3671 0.5000
Cl1 0.0000 0.0000 0.5000
Cl2 0.5000 0.5000 0.5000

**Symmetry**: No. 127
**Spin magnetization**: 0.0 Bohr magnetons per cell
**ρ**: 3.5 g/cm3

Most stable of them? (w).

* * * * *

DFT (PBE-GGA) results for a geometry-optimized CrAs2 structure.

Output
formation energy from the elements: 1.43 kcal/mol of atoms
SG: I4_1/amd (141)
volume: 17.19 Å³/atom
total magnetic moment: 0.38 μB/atom

Cell: 11.514 11.514 11.514 Å, 164.93 164.93 21.37°
Site moments in Bohr magnetons follow the coordinates.
Atoms (fractional coordinates):
As (0.313, 0.813, 0.500)  -0.03
Cr (0.750, 0.250, 0.500)  1.15
Cr (0.000, 0.000, 0.000)  1.15
As (0.563, 0.563, 0.000)  -0.03
As (0.437, 0.437, 0.000)  -0.03
As (0.187, 0.687, 0.500)  -0.03

* * * * *

# MgScZn10 GGA-PBE relaxed
data_MgScZn10
_chemical_formula_sum 'Mg1 Sc1 Zn10'
_cell_length_a 4.2499
_cell_length_b 5.1588
_cell_length_c 8.9913
_cell_angle_alpha 90.00
_cell_angle_beta 90.00
_cell_angle_gamma 90.00
_symmetry_space_group_name_H-M 'P 1'
_symmetry_Int_Tables_number 1
_symmetry_space_group_name_Hall 'P 1'
loop_
_atom_site_label
_atom_site_type_symbol
_atom_site_fract_x
_atom_site_fract_y
_atom_site_fract_z
Mg1 Mg 0.0000 0.0000 0.0000
Sc1 Sc 0.0000 0.5000 0.5000
Zn1 Zn 0.0000 0.0000 0.3284
Zn2 Zn 0.0000 0.0000 0.6716
Zn3 Zn 0.0000 0.5000 0.1630
Zn4 Zn 0.0000 0.5000 0.8370
Zn5 Zn 0.5000 0.0000 0.5000
Zn6 Zn 0.5000 0.2564 0.2591
Zn7 Zn 0.5000 0.2564 0.7409
Zn8 Zn 0.5000 0.5000 0.0000
Zn9 Zn 0.5000 0.7436 0.2591
Zn10 Zn 0.5000 0.7436 0.7409
# Space group   Pmmm, No. 47


# MgScZn2 GGA-PBE relaxed
data_MgScZn2
_chemical_formula_sum 'Mg1 Sc1 Zn2'
_cell_length_a 9.0516
_cell_length_b 9.0516
_cell_length_c 9.0516
_cell_angle_alpha 20.45
_cell_angle_beta 20.45
_cell_angle_gamma 20.45
_symmetry_space_group_name_H-M 'P 1'
_symmetry_Int_Tables_number 1
_symmetry_space_group_name_Hall 'P 1'
loop_
_atom_site_label
_atom_site_type_symbol
_atom_site_fract_x
_atom_site_fract_y
_atom_site_fract_z
Mg1 Mg 0.0000 0.0000 0.0000
Sc1 Sc 0.5000 0.5000 0.5000
Zn1 Zn 0.2499 0.2499 0.2499
Zn2 Zn 0.7501 0.7501 0.7501
# Space group   R-3m, No. 166


# MgSc2Zn GGA-PBE relaxed
data_MgSc2Zn
_chemical_formula_sum 'Mg1 Sc2 Zn1'
_cell_length_a 4.9187
_cell_length_b 4.9187
_cell_length_c 4.9187
_cell_angle_alpha 60.00
_cell_angle_beta 60.00
_cell_angle_gamma 60.00
_symmetry_space_group_name_H-M 'P 1'
*/
Anderson: “Some feel that way.”
Goodman: “Multiple ones in my ward feel that way. Not just one.”
Anderson: “Good for them.”
Congratulations to C. Terrence Anderson for having the presence of mind to say the kind of thing that every person who has ever presented research to Lisa Goodman has wanted to say.
— Wedge LIVE! (@WedgeLIVE) February 14, 2020
Put Your “Feelings on Hold”
Council Vice-President Andrea Jenkins responded to Goodman with a sentiment that might help soothe the hurt feelings of neighborhood board members: “It’s the city. It’s our responsibility in fact, if there was any failure.”
Council Member Alondra Cano said it would help to “put our feelings on hold” in any conversation about systemic racism. “The whole point is not about looking at people’s intent, like ‘did you mean to be racist?’ … but more about, what is the outcome?”
Council Member Phillipe Cunningham said the report isn’t a “moral judgment.” It’s an an analysis of how money was spent and who benefited, “to help us decide and have an understanding of what does racial equity look like in the context of neighborhood associations.”
We Funded Things Besides “Stainless Steel Kitchens”
Goodman noted the NRP requirement that 52% of the money go to housing priorities, left a 48% opportunity for good stuff to happen. “I can tell you about all the stainless steel kitchens that were purchased in my ward [with NRP money], so I don’t disagree that a good amount of the money went to that, but that still means 48% of the money went to other things.”
It’s probably wrong to take it on faith that the 48% of money spent on non-housing priorities was spent advancing equity. I can tell you about one of Goodman’s Ward 7 neighborhood organizations, Lowry HIll, where the board re-allocated $225,000 from affordable housing to a fountain. Or the routine practice of spending neighborhood money to purchase extra police patrols from the Minneapolis Police Department. Or the tens of thousands of dollars spent developing small area plans that prioritize short buildings above all other housing considerations.
CURA’s Equitable Formula

Last year, the City Council affirmed a commitment to $25,000 in minimum “base funding” to each neighborhood association. CURA’s report has a series of maps showing the problem with that approach: the higher you set the base funding, the more you preclude equitable funding. There’s also a map showing the swanky and sparsely populated Kenwood neighborhood receives a disproportionate per-capita share of city-funding. Last May, Council Member Steve Fletcher argued the $25,000 base funding was inherently inequitable, but his amendment to remove it was voted down (6-6).

CURA’s recommended funding formula is based on share of residents of color (50% weight), share of cost-burdened households (30%), and neighborhoods experiencing gentrification and displacement as determined by a 2019 CURA study (20%).
Council President Lisa Bender foreshadowed a coming debate about the funding formula: “I didn’t support the motion that allocated the $25,000 base amount…. You have shown us with data what a lot of us sort of thought might be true. The cynic in me wasn’t sure that the vote count would change with more information, and I’m still not sure what will happen.”
The “Shadow Report”
The Council voted against Goodman’s motion to make time on a future agenda to hear a rebuttal report (Cano called it a “shadow report”). The document was authored by former city employee and current consultant to neighborhood groups, Robert Thompson.
Thompson’s report accuses CURA of cherry-picking data. Anderson’s presentation anticipated and responded to that criticism with data for a neighborhood loan program highlighted by Thompson — five neighborhoods with lots of black loan recipients in North Minneapolis. Despite having a large number of black recipients relative to other parts of the city, the data still show whites receiving a disproportionate number of loans, relative to their share of the population in those neighborhoods (1993-2003).
- Harrison – whites were 59% of loans, 24% of population
- Jordan – whites were 40% of loans, 24% of population
********
#1
First-principles (PBE) data for a relaxed structure of ReTc2, as listed in Alexandria via LeMat-Bulk.

Structure (POSCAR):
```
ReTc2
1.0
2.0703 -3.6105 -2.8001
-3.4226 -1.0677 3.5083
-2.5054 2.8106 -3.3145
Tc Re
4 2
Direct
0.3586 0.8586 0.2172
0.8586 0.6414 0.5000
0.1414 0.3586 0.5000
0.6414 0.1414 0.7828
0.2500 0.2500 0.0000
0.7500 0.7500 0.0000
```

**Total magnetic moment**: 0.000 μB per atom

---

#2
First-principles (PBE) data for a relaxed structure of ReTc2, as listed in Alexandria via LeMat-Bulk.

Structure (POSCAR):
```
ReTc2
1.0
2.7300 0.0000 -0.4243
0.0000 4.4435 0.0000
-0.2620 0.0000 7.3086
Re Tc
2 4
Direct
0.1113 0.2500 0.2227
0.8887 0.7500 0.7773
0.2224 0.7500 0.4447
0.5560 0.7500 0.1119
0.7776 0.2500 0.5553
0.4440 0.2500 0.8881
```

**Total magnetic moment**: 0.000 μB per atom

---

Last place for stability: #1

---

#1
First-principles (PBE) data for a relaxed structure of ReTc2, as listed in Alexandria via LeMat-Bulk.

Structure (POSCAR):
```
ReTc2
1.0
-1.1193 -3.3458 1.6506
1.7925 1.0291 3.3015
-10.1369 6.2752 1.2500
Tc Re
8 4
Direct
0.8332 0.3332 0.6663
0.5003 0.0003 0.0005
0.9997 0.4997 0.9995
0.5832 0.5832 0.1663
0.4168 0.4168 0.8337
0.2503 0.2503 0.5005
0.7497 0.7497 0.4995
0.6668 0.1668 0.3337
0.1666 0.6666 0.3332
0.9166 0.9166 0.8332
0.3334 0.8334 0.6668
0.0834 0.0834 0.1668
```

**Total magnetic moment**: 0.000 μB per atom

---

#2
First-principles (PBE) data for a relaxed structure of ReTc2, as listed in Alexandria via LeMat-Bulk.

Structure (POSCAR):
```
ReTc2
1.0
5.4006 0.0000 0.0000
0.0000 4.2046 0.0000
0.0000 0.0000 7.9072
Re Tc
4 8
Direct
0.6899 0.2500 0.6023
0.8101 0.7500 0.1023
0.1899 0.2500 0.8977
0.3101 0.7500 0.3977
0.5445 0.2500 0.2773
0.3347 0.7500 0.0638
0.1653 0.2500 0.5638
0.9555 0.7500 0.7773
0.6653 0.2500 0.9362
0.0445 0.2500 0.2227
0.8347 0.7500 0.4362
0.4555 0.7500 0.7227
```

**Total magnetic moment**: 0.000 μB per atom

---

#3
First-principles (PBE) data for a relaxed structure of ReTc2, as listed in Alexandria via LeMat-Bulk.

Structure (POSCAR):
```
ReTc2
1.0
-2.1166 3.8154 2.5214
0.2311 4.6806 -1.8529
-4.1591 2.2073 -1.7957
Re Tc
2 4
Direct
0.2500 0.2500 0.2500
0.0000 0.0000 0.0000
0.6250 0.6250 0.6250
0.6250 0.6250 0.1250
0.1250 0.6250 0.6250
0.6250 0.1250 0.6250
```

**Total magnetic moment**: 0.000 μB per atom

---

Last place for stability: #3

---

#1
First-principles (PBE) data for a relaxed structure of ReTc2, as listed in Alexandria via LeMat-Bulk.

Structure (POSCAR):
```
ReTc2
1.0
-4.9200 -4.2234 0.7018
0.9299 -1.4447 -2.1748
2.2570 -4.2563 2.0263
Re Tc
2 4
Direct
0.3323 0.6667 0.6665
0.7232 0.6111 0.7779
0.6643 0.3327 0.3345
0.3913 0.9450 0.1099
0.0564 0.2794 0.4412
0.9992 0.9984 0.0033
```

**Total magnetic moment**: 0.000 μB per atom

---

#2
First-principles (PBE) data for a relaxed structure of ReTc2, as listed in Alexandria via LeMat-Bulk.

Structure (POSCAR):
```
ReTc2
1.0
-0.5286 -5.7863 1.9962
1.4897 -5.8087 -1.3360
1.1778 5.9921 0.6731
Re Tc
1 2
Direct
0.5000 0.5000 0.0000
********
_The text goes on_
- Near North – whites were 30% of loans, 15% population
- Cleveland – whites were 67% of loans, 52% population
- Willard Hay – whites were 21% of loans, 16% population
(In a recent debate hosted by the League of Women Voters, Anderson asked Thompson if he’d read the CURA report prior to writing his rebuttal. Thompson couldn’t say yes, because the CURA report hadn’t been published yet.)
Cunningham referred to Thompson as someone who “has been vocal about their displeasure with NCR.” He said Thompson’s lack of neutrality meant he wouldn’t bring “good information” before the Council. Cano said she had unresolved questions about a “conflict of interest” due to Thompson’s status as a former city employee.
Thompson used to work for the city department overseeing neighborhood groups — Neighborhood and Community Relations. Prior to that he was employed as a staff person for the neighborhood organization in Loring Park. The website hosting Thompson’s report was initially published with an introductory message signed by eight people — four of them from Loring Park in Goodman’s Ward 7. Someone involved in a neighborhood association told me that Thompson’s name is on a list of people that NCR recommends to these groups for accounting services. All of which is to say, this guy’s life and livelihood is wrapped up in this stuff, so it’s fair to assume he’s not impartial.